Wanted
Write out the calculation results further below from the line with "5.4 g/cm3" to the end verbatim.

Contents
No. 1
Below is a relaxed TiMnSe2N crystal, with properties calculated at the GGA-PBE level.

The structure in CIF format:
```
data_TiMnSe2N
_chemical_formula_sum 'Ti1 Mn1 Se2 N1'
_cell_length_a 4.936
_cell_length_b 4.936
_cell_length_c 3.484
_cell_angle_alpha 90.00
_cell_angle_beta 90.00
_cell_angle_gamma 90.00
_space_group_name_H-M_alt 'P 1'
_space_group_IT_number 1
_space_group_name_Hall 'P 1'
loop_
_atom_site_label
_atom_site_fract_x
_atom_site_fract_y
_atom_site_fract_z
_atom_site_occupancy
Ti1 0.000 0.000 0.000 1
Mn1 0.500 0.500 0.500 1
Se1 0.000 0.500 0.500 1
Se2 0.500 0.000 0.500 1
N1 0.500 0.500 0.000 1
```

Uncorrected energy   -6.49 eV per atom
Symmetry   No. 123
ΔE_f (raw)   -17 meV per atom
Volume   84.9 Å³/f.u.
Mass density   5.4 g/cm3
ΔE to the lowest computed polymorph   18 meV per atom

---

No. 2
Below is a relaxed KLiSe2 crystal, with properties calculated at the GGA-PBE level.

The structure in CIF format:
```
data_KLiSe2
_chemical_formula_sum 'K1 Li1 Se2'
_cell_length_a 5.444
_cell_length_b 5.444
_cell_length_c 5.444
_cell_angle_alpha 129.63
_cell_angle_beta 128.69
_cell_angle_gamma 74.76
_space_group_name_H-M_alt 'P 1'
_space_group_IT_number 1
_space_group_name_Hall 'P 1'
loop_
_atom_site_label
_atom_site_fract_x
_atom_site_fract_y
_atom_site_fract_z
_atom_site_occupancy
K1 0.000 0.000 0.000 1
Li1 0.500 0.500 0.000 1
Se1 0.251 0.751 0.500 1
Se2 0.749 0.249 0.500 1
```

Uncorrected energy   -3.10 eV per atom
Symmetry   No. 71
ΔE_f (raw)   -601 meV per atom
Volume   94.5 Å³/f.u.
Mass density   3.6 g/cm3

---

No. 3
Below is a relaxed NdCdHg3 crystal, with properties calculated at the GGA-PBE level.

The structure in CIF format:
```
data_NdCdHg3
_chemical_formula_sum 'Nd2 Cd2 Hg6'
_cell_length_a 5.124
_cell_length_b 5.171
_cell_length_c 9.720
_cell_angle_alpha 90.00
_cell_angle_beta 105.28
_cell_angle_gamma 90.00
_space_group_name_H-M_alt 'P 1'
_space_group_IT_number 1
_space_group_name_Hall 'P 1'
loop_
_atom_site_label
_atom_site_fract_x
_atom_site_fract_y
_atom_site_fract_z
_atom_site_occupancy
Nd1 0.150 0.250 0.301 1
Nd2 0.850 0.750 0.699 1
Cd1 0.350 0.250 0.698 1
Cd2 0.650 0.750 0.302 1
Hg1 0.046 0.750 0.092 1
Hg2 0.248 0.750 0.498 1
Hg3 0.452 0.750 0.901 1
Hg4 0.548 0.250 0.099 1
Hg5 0.752 0.250 0.502 1
Hg6 0.954 0.250 0.908 1
```

Uncorrected energy   -1.63 eV per atom
Symmetry   No. 11
Energy of formation   -0.31 eV/atom
Volume   124.2 Å³/f.u.
Mass density   11.5 g/cm3
ΔE to the lowest computed polymorph   0 meV per atom

---

No. 4
Below is a relaxed MoCCl3 crystal, with properties calculated at the GGA-PBE level.

The structure in CIF format:
```
data_MoCCl3
_chemical_formula_sum 'Mo1 C1 Cl3'
_cell_length_a 4.918
_cell_length_b 4.918
_cell_length_c 4.918
_cell_angle_alpha 90.00
_cell_angle_beta 90.00
_cell_angle_gamma 90.00
_space_group_name_H-M_alt 'P 1'
_space_group_IT_number 1
_space_group_name_Hall 'P 1'
loop_
_atom_site_label
_atom_site_fract_x
_atom_site_fract_y
_atom_site_fract_z
_atom_site_occupancy
Mo1 0.000 0.000 0.000 1
C1 0.500 0.500 0.500 1
Cl1 0.000 0.000 0.500 1
Cl2 0.000 0.500 0.000 1
Cl3 0.500 0.000 0.000 1
```

Uncorrected energy   -4.02 eV per atom
Symmetry   No. 221
ΔE_f (raw)   1095 meV per atom
Volume   119.0 Å³/f.u.
Mass density   3.0 g/cm3

---

No. 5
Below is a relaxed InIrRu2 crystal, with properties calculated at the GGA-PBE level.

The structure in CIF format:
```
data_InIrRu2
_chemical_formula_sum 'In1 Ir1 Ru2'
_cell_length_a 2.833
_cell_length_b 3.813
_cell_length_c 5.789
_cell_angle_alpha 90.00
_cell_angle_beta 90.00
_cell_angle_gamma 90.00
_space_group_name_H-M_alt 'P 1'
_space_group_IT_number 1
_space_group_name_Hall 'P 1'
loop_
_atom_site_label
_atom_site_fract_x
_atom_site_fract_y
_atom_site_fract_z
_atom_site_occupancy
In1 0.000 0.000 0.000 1
Ir1 0.500 0.500 0.267 1
Ru1 0.000 0.000 0.508 1
Ru2 0.500 0.500 0.724 1
```

Uncorrected energy   -7.38 eV per atom
Symmetry   No. 25
Energy of formation   0.16 eV/atom
Volume   62.5 Å³/f.u.
Mass density   13.5 g/cm3

---

Written answer
Mass density   5.4 g/cm3
ΔE to the lowest computed polymorph   18 meV per atom

---

No. 2
Below is a relaxed KLiSe2 crystal, with properties calculated at the GGA-PBE level.

The structure in CIF format:
```
data_KLiSe2
_chemical_formula_sum 'K1 Li1 Se2'
_cell_length_a 5.444
_cell_length_b 5.444
_cell_length_c 5.444
_cell_angle_alpha 129.63
_cell_angle_beta 128.69
_cell_angle_gamma 74.76
_space_group_name_H-M_alt 'P 1'
_space_group_IT_number 1
_space_group_name_Hall 'P 1'
loop_
_atom_site_label
_atom_site_fract_x
_atom_site_fract_y
_atom_site_fract_z
_atom_site_occupancy
K1 0.000 0.000 0.000 1
Li1 0.500 0.500 0.000 1
Se1 0.251 0.751 0.500 1
Se2 0.749 0.249 0.500 1
```

Uncorrected energy   -3.10 eV per atom
Symmetry   No. 71
ΔE_f (raw)   -601 meV per atom
Volume   94.5 Å³/f.u.
Mass density   3.6 g/cm3

---

No. 3
Below is a relaxed NdCdHg3 crystal, with properties calculated at the GGA-PBE level.

The structure in CIF format:
```
data_NdCdHg3
_chemical_formula_sum 'Nd2 Cd2 Hg6'
_cell_length_a 5.124
_cell_length_b 5.171
_cell_length_c 9.720
_cell_angle_alpha 90.00
_cell_angle_beta 105.28
_cell_angle_gamma 90.00
_space_group_name_H-M_alt 'P 1'
_space_group_IT_number 1
_space_group_name_Hall 'P 1'
loop_
_atom_site_label
_atom_site_fract_x
_atom_site_fract_y
_atom_site_fract_z
_atom_site_occupancy
Nd1 0.150 0.250 0.301 1
Nd2 0.850 0.750 0.699 1
Cd1 0.350 0.250 0.698 1
Cd2 0.650 0.750 0.302 1
Hg1 0.046 0.750 0.092 1
Hg2 0.248 0.750 0.498 1
Hg3 0.452 0.750 0.901 1
Hg4 0.548 0.250 0.099 1
Hg5 0.752 0.250 0.502 1
Hg6 0.954 0.250 0.908 1
```

Uncorrected energy   -1.63 eV per atom
Symmetry   No. 11
Energy of formation   -0.31 eV/atom
Volume   124.2 Å³/f.u.
Mass density   11.5 g/cm3
ΔE to the lowest computed polymorph   0 meV per atom

---

No. 4
Below is a relaxed MoCCl3 crystal, with properties calculated at the GGA-PBE level.

The structure in CIF format:
```
data_MoCCl3
_chemical_formula_sum 'Mo1 C1 Cl3'
_cell_length_a 4.918
_cell_length_b 4.918
_cell_length_c 4.918
_cell_angle_alpha 90.00
_cell_angle_beta 90.00
_cell_angle_gamma 90.00
_space_group_name_H-M_alt 'P 1'
_space_group_IT_number 1
_space_group_name_Hall 'P 1'
loop_
_atom_site_label
_atom_site_fract_x
_atom_site_fract_y
_atom_site_fract_z
_atom_site_occupancy
Mo1 0.000 0.000 0.000 1
C1 0.500 0.500 0.500 1
Cl1 0.000 0.000 0.500 1
Cl2 0.000 0.500 0.000 1
Cl3 0.500 0.000 0.000 1
```

Uncorrected energy   -4.02 eV per atom
Symmetry   No. 221
ΔE_f (raw)   1095 meV per atom
Volume   119.0 Å³/f.u.
Mass density   3.0 g/cm3

---

No. 5
Below is a relaxed InIrRu2 crystal, with properties calculated at the GGA-PBE level.

The structure in CIF format:
```
data_InIrRu2
_chemical_formula_sum 'In1 Ir1 Ru2'
_cell_length_a 2.833
_cell_length_b 3.813
_cell_length_c 5.789
_cell_angle_alpha 90.00
_cell_angle_beta 90.00
_cell_angle_gamma 90.00
_space_group_name_H-M_alt 'P 1'
_space_group_IT_number 1
_space_group_name_Hall 'P 1'
loop_
_atom_site_label
_atom_site_fract_x
_atom_site_fract_y
_atom_site_fract_z
_atom_site_occupancy
In1 0.000 0.000 0.000 1
Ir1 0.500 0.500 0.267 1
Ru1 0.000 0.000 0.508 1
Ru2 0.500 0.500 0.724 1
```

Uncorrected energy   -7.38 eV per atom
Symmetry   No. 25
Energy of formation   0.16 eV/atom
Volume   62.5 Å³/f.u.
Mass density   13.5 g/cm3

---